Source:
- - -
Formula: C9H13NO2
Source: OMol25
Level of theory: ωB97M-V/def2-TZVPD

The geometry in XYZ format:
```
25
Properties=species:S:1:pos:R:3:forces:R:3:mulliken_charge:R:1
C 0.4080 -0.6363 3.7437 4.895 0.898 0.034 -1.117
C -0.3376 -1.8297 3.1935 -3.350 -2.473 -0.725 0.697
O -1.5740 -2.0886 3.2721 2.747 2.304 0.654 -0.631
N 0.3150 -2.7742 2.4473 -0.658 -0.062 -0.772 -0.363
H -0.1380 -3.4674 1.8537 -0.858 0.671 0.927 0.216
H 1.2540 -2.9453 2.3999 2.987 0.428 0.329 0.175
H 1.2663 -0.6227 4.6155 -2.062 -1.333 -2.115 0.293
H -0.1324 0.1384 4.0985 -3.172 1.664 1.549 0.450
H 0.9509 0.0810 3.0074 -0.514 -2.106 0.095 0.283
C -0.7844 3.1705 -1.8468 0.334 2.741 -0.084 -1.344
C 0.4540 -0.8447 -1.8672 -1.810 3.208 -0.020 0.644
C 0.2239 -0.1987 -3.0875 1.221 -0.078 0.157 -0.731
C -0.0443 -0.2222 -0.6868 1.809 -0.744 1.785 0.075
C -0.1472 1.1133 -3.0001 -1.786 0.681 -0.728 -0.426
C -0.4323 1.1430 -0.5618 0.598 -3.118 -0.002 -0.680
C -0.4023 1.7507 -1.7827 -0.352 1.813 -0.570 1.093
O 1.1696 -1.9480 -1.9101 -0.238 -3.224 3.065 -0.523
H 0.9358 -2.4161 -1.0267 1.027 0.721 -2.158 0.325
H 0.5980 -0.6114 -4.0326 -0.523 -0.123 0.426 0.342
H 0.2376 -0.7116 0.2924 -0.618 0.053 -1.090 -0.210
H -0.5660 1.6526 -3.8954 1.215 -0.463 0.781 0.216
H -0.7120 1.5278 0.4664 0.402 -0.119 -1.731 0.342
H -1.7869 3.2123 -1.3304 1.114 0.991 -0.584 0.282
H -0.7807 3.5884 -2.8762 -0.874 -0.714 0.286 0.341
H 0.0249 3.9389 -1.4862 -1.534 -1.616 0.492 0.250
```
Forces are in eV/Å.

E_tot (Eh): -555.88847
Lowest unoccupied orbital energy (eV): 0.38
Highest occupied orbital energy (eV): -8.206
SMILES string: Cc1ccc(O)cc1.CC(N)=O
Total charge: 0
Energy above the lowest of the compared OMol25 structures with the same formula, charge and spin (kcal per mole): 72.3
- - -

What to do:
Search the contents above for the word "mole" and quote each line that has it.

Completed:
Energy above the lowest of the compared OMol25 structures with the same formula, charge and spin (kcal per mole): 72.3